Calculated X-ray diffraction stick pattern
Compound: Y5Co2Hg
Radiation: Cu Kα (λ = 1.5418 Å)
Structure: the PBE geometry in Alexandria

The 6 most intense peaks (10 to 90 degrees two-theta), in order of rising 2θ:
21.2°, I = 32
31.5°, I = 59
33.1°, I = 93
35.7°, I = 71
37.3°, I = 100
68.2°, I = 31

Crystal structure
```
data_Y5Co2Hg
_chemical_formula_sum 'Y20 Co8 Hg4'
_space_group_name_H-M_alt 'I 4/m c m'
_space_group_IT_number 140
_space_group_name_Hall '-I 4 2c'
_cell_length_a 7.617
_cell_length_b 7.617
_cell_length_c 13.393
_cell_angle_alpha 90.00
_cell_angle_beta 90.00
_cell_angle_gamma 90.00
loop_
_atom_site_label
_atom_site_type_symbol
_atom_site_fract_x
_atom_site_fract_y
_atom_site_fract_z
_atom_site_occupancy
Y1 Y 0.000 0.000 0.000 1
Y2 Y 0.162 0.338 0.134 1
Co1 Co 0.134 0.366 0.500 1
Hg1 Hg 0.000 0.000 0.250 1
```

***

Calculated X-ray diffraction stick pattern
Compound: La2SiH2
Radiation: Cu Kα (λ = 1.5418 Å)
Structure: the PBE geometry in Alexandria

The 6 most intense peaks (10 to 90 degrees two-theta), in order of rising 2θ:
23.8°, I = 72
29.2°, I = 26
31.6°, I = 100
32.3°, I = 65
44.1°, I = 35
57.2°, I = 37

Crystal structure
```
data_La2SiH2
_chemical_formula_sum 'La4 Si2 H4'
_space_group_name_H-M_alt 'I 4/m m m'
_space_group_IT_number 139
_space_group_name_Hall '-I 4 2'
_cell_length_a 3.922
_cell_length_b 3.922
_cell_length_c 12.249
_cell_angle_alpha 90.00
_cell_angle_beta 90.00
_cell_angle_gamma 90.00
loop_
_atom_site_label
_atom_site_type_symbol
_atom_site_fract_x
_atom_site_fract_y
_atom_site_fract_z
_atom_site_occupancy
La1 La 0.000 0.000 0.135 1
Si1 Si 0.000 0.000 0.500 1
H1 H 0.000 0.500 0.250 1
```

***

Calculated X-ray diffraction stick pattern
Compound: Cs2O4F
Radiation: Cu Kα (λ = 1.5418 Å)
Structure: the PBE geometry in Alexandria

The 6 most intense peaks (10 to 90 degrees two-theta), in order of rising 2θ:
21.4°, I = 100
22.9°, I = 87
28.1°, I = 40
32.6°, I = 39
36.5°, I = 51
39.3°, I = 58

Crystal structure
```
data_Cs2O4F
_chemical_formula_sum 'Cs4 O8 F2'
_space_group_name_H-M_alt 'P 42/m n m'
_space_group_IT_number 136
_space_group_name_Hall '-P 4n 2n'
_cell_length_a 7.772
_cell_length_b 7.772
_cell_length_c 6.357
_cell_angle_alpha 90.00
_cell_angle_beta 90.00
_cell_angle_gamma 90.00
loop_
_atom_site_label
_atom_site_type_symbol
_atom_site_fract_x
_atom_site_fract_y
_atom_site_fract_z
_atom_site_occupancy
Cs1 Cs 0.241 0.241 0.000 1
O1 O 0.156 0.273 0.500 1
F1 F 0.000 0.000 0.000 1
```

***

Calculated X-ray diffraction stick pattern
Compound: KZnS
Radiation: Cu Kα (λ = 1.5418 Å)
Structure: the PBE geometry in Alexandria

The 6 most intense peaks (10 to 90 degrees two-theta), in order of rising 2θ:
11.7°, I = 81
20.3°, I = 100
26.2°, I = 47
26.4°, I = 74
42.7°, I = 41
59.6°, I = 37

Crystal structure
```
data_KZnS
_chemical_formula_sum 'K4 Zn4 S4'
_space_group_name_H-M_alt 'I m m m'
_space_group_IT_number 71
_space_group_name_Hall '-I 2 2'
_cell_length_a 4.561
_cell_length_b 5.121
_cell_length_c 15.088
_cell_angle_alpha 90.00
_cell_angle_beta 90.00
_cell_angle_gamma 90.00
loop_
_atom_site_label
_atom_site_type_symbol
_atom_site_fract_x
_atom_site_fract_y
_atom_site_fract_z
_atom_site_occupancy
K1 K 0.000 0.000 0.162 1
Zn1 Zn 0.000 0.266 0.500 1
S1 S 0.000 0.000 0.373 1
```

***

Calculated X-ray diffraction stick pattern
Compound: CaTh2BeN4
Radiation: Cu Kα (λ = 1.5418 Å)
Structure: the PBE geometry in Alexandria

The 6 most intense peaks (10 to 90 degrees two-theta), in order of rising 2θ:
15.7°, I = 72
24.9°, I = 49
27.8°, I = 100
29.6°, I = 48
32.5°, I = 46
34.6°, I = 42

Crystal structure
```
data_CaTh2BeN4
_chemical_formula_sum 'Ca4 Th8 Be4 N16'
_space_group_name_H-M_alt 'C m c m'
_space_group_IT_number 63
_space_group_name_Hall '-C 2c 2'
_cell_length_a 3.732
_cell_length_b 12.265
_cell_length_c 11.314
_cell_angle_alpha 90.00
_cell_angle_beta 90.00
_cell_angle_gamma 90.00
loop_
_atom_site_label
_atom_site_type_symbol
_atom_site_fract_x
_atom_site_fract_y
_atom_site_fract_z

It remains to duplicate all of the contents earlier on verbatim.

Calculated X-ray diffraction stick pattern
Compound: Y5Co2Hg
Radiation: Cu Kα (λ = 1.5418 Å)
Structure: the PBE geometry in Alexandria

The 6 most intense peaks (10 to 90 degrees two-theta), in order of rising 2θ:
21.2°, I = 32
31.5°, I = 59
33.1°, I = 93
35.7°, I = 71
37.3°, I = 100
68.2°, I = 31

Crystal structure
```
data_Y5Co2Hg
_chemical_formula_sum 'Y20 Co8 Hg4'
_space_group_name_H-M_alt 'I 4/m c m'
_space_group_IT_number 140
_space_group_name_Hall '-I 4 2c'
_cell_length_a 7.617
_cell_length_b 7.617
_cell_length_c 13.393
_cell_angle_alpha 90.00
_cell_angle_beta 90.00
_cell_angle_gamma 90.00
loop_
_atom_site_label
_atom_site_type_symbol
_atom_site_fract_x
_atom_site_fract_y
_atom_site_fract_z
_atom_site_occupancy
Y1 Y 0.000 0.000 0.000 1
Y2 Y 0.162 0.338 0.134 1
Co1 Co 0.134 0.366 0.500 1
Hg1 Hg 0.000 0.000 0.250 1
```

***

Calculated X-ray diffraction stick pattern
Compound: La2SiH2
Radiation: Cu Kα (λ = 1.5418 Å)
Structure: the PBE geometry in Alexandria

The 6 most intense peaks (10 to 90 degrees two-theta), in order of rising 2θ:
23.8°, I = 72
29.2°, I = 26
31.6°, I = 100
32.3°, I = 65
44.1°, I = 35
57.2°, I = 37

Crystal structure
```
data_La2SiH2
_chemical_formula_sum 'La4 Si2 H4'
_space_group_name_H-M_alt 'I 4/m m m'
_space_group_IT_number 139
_space_group_name_Hall '-I 4 2'
_cell_length_a 3.922
_cell_length_b 3.922
_cell_length_c 12.249
_cell_angle_alpha 90.00
_cell_angle_beta 90.00
_cell_angle_gamma 90.00
loop_
_atom_site_label
_atom_site_type_symbol
_atom_site_fract_x
_atom_site_fract_y
_atom_site_fract_z
_atom_site_occupancy
La1 La 0.000 0.000 0.135 1
Si1 Si 0.000 0.000 0.500 1
H1 H 0.000 0.500 0.250 1
```

***

Calculated X-ray diffraction stick pattern
Compound: Cs2O4F
Radiation: Cu Kα (λ = 1.5418 Å)
Structure: the PBE geometry in Alexandria

The 6 most intense peaks (10 to 90 degrees two-theta), in order of rising 2θ:
21.4°, I = 100
22.9°, I = 87
28.1°, I = 40
32.6°, I = 39
36.5°, I = 51
39.3°, I = 58

Crystal structure
```
data_Cs2O4F
_chemical_formula_sum 'Cs4 O8 F2'
_space_group_name_H-M_alt 'P 42/m n m'
_space_group_IT_number 136
_space_group_name_Hall '-P 4n 2n'
_cell_length_a 7.772
_cell_length_b 7.772
_cell_length_c 6.357
_cell_angle_alpha 90.00
_cell_angle_beta 90.00
_cell_angle_gamma 90.00
loop_
_atom_site_label
_atom_site_type_symbol
_atom_site_fract_x
_atom_site_fract_y
_atom_site_fract_z
_atom_site_occupancy
Cs1 Cs 0.241 0.241 0.000 1
O1 O 0.156 0.273 0.500 1
F1 F 0.000 0.000 0.000 1
```

***

Calculated X-ray diffraction stick pattern
Compound: KZnS
Radiation: Cu Kα (λ = 1.5418 Å)
Structure: the PBE geometry in Alexandria

The 6 most intense peaks (10 to 90 degrees two-theta), in order of rising 2θ:
11.7°, I = 81
20.3°, I = 100
26.2°, I = 47
26.4°, I = 74
42.7°, I = 41
59.6°, I = 37

Crystal structure
```
data_KZnS
_chemical_formula_sum 'K4 Zn4 S4'
_space_group_name_H-M_alt 'I m m m'
_space_group_IT_number 71
_space_group_name_Hall '-I 2 2'
_cell_length_a 4.561
_cell_length_b 5.121
_cell_length_c 15.088
_cell_angle_alpha 90.00
_cell_angle_beta 90.00
_cell_angle_gamma 90.00
loop_
_atom_site_label
_atom_site_type_symbol
_atom_site_fract_x
_atom_site_fract_y
_atom_site_fract_z
_atom_site_occupancy
K1 K 0.000 0.000 0.162 1
Zn1 Zn 0.000 0.266 0.500 1
S1 S 0.000 0.000 0.373 1
```

***

Calculated X-ray diffraction stick pattern
Compound: CaTh2BeN4
Radiation: Cu Kα (λ = 1.5418 Å)
Structure: the PBE geometry in Alexandria

The 6 most intense peaks (10 to 90 degrees two-theta), in order of rising 2θ:
15.7°, I = 72
24.9°, I = 49
27.8°, I = 100
29.6°, I = 48
32.5°, I = 46
34.6°, I = 42

Crystal structure
```
data_CaTh2BeN4
_chemical_formula_sum 'Ca4 Th8 Be4 N16'
_space_group_name_H-M_alt 'C m c m'
_space_group_IT_number 63
_space_group_name_Hall '-C 2c 2'
_cell_length_a 3.732
_cell_length_b 12.265
_cell_length_c 11.314
_cell_angle_alpha 90.00
_cell_angle_beta 90.00
_cell_angle_gamma 90.00
loop_
_atom_site_label
_atom_site_type_symbol
_atom_site_fract_x
_atom_site_fract_y
_atom_site_fract_z